Activity.
Restate the data further below from the line with "'x,-y,z+1/2'" to the end without altering anything.

Contents.
- - -
Th4AgRh12: theoretical X-ray diffraction stick pattern (a wavelength of 1.5418 Å), based on DFT lattice parameters and positions (PBE).
Intensities are scaled so that the largest is 100.

Atomic structure:
Cell: 8.5247 8.5247 8.5247 Å, 90.00 90.00 90.00°
Space group Im-3m (No. 229)
Symmetry-distinct sites (fractional):
Th1 0.2500 0.2500 0.2500 [8 per cell]
Ag1 0.0000 0.0000 0.0000 [2 per cell]
Rh1 0.0000 0.0000 0.3053 [12 per cell]
Rh2 0.0000 0.2500 0.5000 [12 per cell]

Main lines, low angle first (5° ≤ 2θ ≤ 70°):
- hkl 2 0 0, 2θ 20.84, d 4.262, rel. 7
- hkl 2 2 0, 2θ 29.64, d 3.014, rel. 33
- hkl 2 2 2, 2θ 36.51, d 2.461, rel. 100
- hkl 3 2 1, 2θ 39.56, d 2.278, rel. 10
- hkl 4 0 0, 2θ 42.41, d 2.131, rel. 60
- hkl 3 3 0, 2θ 45.12, d 2.009, rel. 7
- hkl 4 2 0, 2θ 47.71, d 1.906, rel. 10
- hkl 3 3 2, 2θ 50.20, d 1.817, rel. 9
- hkl 4 2 2, 2θ 52.60, d 1.740, rel. 8
- hkl 4 4 0, 2θ 61.54, d 1.507, rel. 34
- hkl 4 4 2, 2θ 65.72, d 1.421, rel. 7
- hkl 6 2 0, 2θ 69.77, d 1.348, rel. 12


Structure and simulated PXRD pattern of Pm3NdSe4 (the GGA-PBE geometry in Alexandria; Cu Kα X-rays).
Lines closer than 0.1° are merged.

Structure:
```
data_Pm3NdSe4
_chemical_formula_sum 'Pm3 Nd1 Se4'
_cell_length_a 5.949
_cell_length_b 5.949
_cell_length_c 5.949
_cell_angle_alpha 90.00
_cell_angle_beta 90.00
_cell_angle_gamma 90.00
_symmetry_space_group_name_H-M 'P m -3 m'
_symmetry_Int_Tables_number 221
_symmetry_space_group_name_Hall '-P 4 2 3'
loop_
_atom_site_label
_atom_site_type_symbol
_atom_site_fract_x
_atom_site_fract_y
_atom_site_fract_z
_atom_site_occupancy
Pm1 Pm 0.000 0.000 0.500 1
Nd1 Nd 0.500 0.500 0.500 1
Se1 Se 0.000 0.000 0.000 1
Se2 Se 0.000 0.500 0.500 1
```

Main lines, low angle first (5° ≤ 2θ ≤ 70°):
- 3.435 Å, 25.9 deg, intensity 165, hkl 1 1 1
- 2.974 Å, 30.0 deg, intensity 1000, hkl 2 0 0
- 2.103 Å, 43.0 deg, intensity 746, hkl 2 2 0
- 1.794 Å, 50.9 deg, intensity 82, hkl 3 1 1
- 1.717 Å, 53.3 deg, intensity 264, hkl 2 2 2
- 1.487 Å, 62.4 deg, intensity 123, hkl 4 0 0
- 1.365 Å, 68.8 deg, intensity 33, hkl 3 3 1


For Y4FeBi, a structure optimized by DFT (GGA-PBE) gives the simulated powder X-ray diffraction pattern in this record (Cu Kα (weighted mean of Kα1 and Kα2)).
Kinematic intensities with the Lorentz-polarization factor, no thermal factor.

Largest 6 diffraction maxima, in order of rising 2θ, 2θ from 10° to 80°:
- (1 1 -1), 16.7°, I 39.1
- (1 1 -2), 30.1°, I 90.5
- (3 1 -1), 31.1°, I 95.8
- (2 2 1), 34.1°, I 100.0
- (1 3 -2), 35.7°, I 44.7
- (3 3 -1), 36.6°, I 33.3

```
data_Y4FeBi
_cell_length_a 8.912
_cell_length_b 13.333
_cell_length_c 6.095
_cell_angle_alpha 90.00
_cell_angle_beta 112.06
_cell_angle_gamma 90.00
_space_group_name_H-M_alt 'C 1 2/c 1'
_space_group_IT_number 15
loop_
_space_group_symop_operation_xyz
'x,y,z'
'-x,-y,-z'
'-x,y,-z+1/2'
'x,-y,z+1/2'
'x+1/2,y+1/2,z'
'-x+1/2,-y+1/2,-z'
'-x+1/2,y+1/2,-z+1/2'
'x+1/2,-y+1/2,z+1/2'
loop_
_atom_site_label
_atom_site_type_symbol
_atom_site_fract_x
_atom_site_fract_y
_atom_site_fract_z
Y1 Y 0.106 0.162 0.061
Y2 Y 0.224 0.428 0.359
Fe1 Fe 0.000 0.000 0.250
Bi1 Bi 0.000 0.372 0.750
```

For Tb2PrY3, a structure optimized by DFT (GGA-PBE) gives the simulated powder X-ray diffraction pattern in this record (Cu Kα (weighted mean of Kα1 and Kα2)).
Kinematic intensities with the Lorentz-polarization factor, no thermal factor.

Largest 6 diffraction maxima, in order of rising 2θ, 2θ from 10° to 80°:
- (2 -1 1), 30.5°, I 100.0
- (1 1 2), 35.3°, I 50.4
- (3 1 0), 50.8°, I 35.5
- (3 0 3), 60.4°, I 21.0
- (2 3 1), 60.5°, I 20.9
- (4 -2 2), 63.4°, I 12.0

```
data_Tb2PrY3
_cell_length_a 6.227
_cell_length_b 8.024
_cell_length_c 8.795
_cell_angle_alpha 111.37
_cell_angle_beta 90.09
_cell_angle_gamma 104.96
_space_group_name_H-M_alt 'P -1'
_space_group_IT_number 2
loop_
_space_group_symop_operation_xyz
'x,y,z'
'-x,-y,-z'
loop_
_atom_site_label
_atom_site_type_symbol
_atom_site_fract_x
_atom_site_fract_y
_atom_site_fract_z
Tb1 Tb 0.125 0.123 0.374
Tb2 Tb 0.375 0.375 0.123
- - -

Solution.
'x,-y,z+1/2'
'x+1/2,y+1/2,z'
'-x+1/2,-y+1/2,-z'
'-x+1/2,y+1/2,-z+1/2'
'x+1/2,-y+1/2,z+1/2'
loop_
_atom_site_label
_atom_site_type_symbol
_atom_site_fract_x
_atom_site_fract_y
_atom_site_fract_z
Y1 Y 0.106 0.162 0.061
Y2 Y 0.224 0.428 0.359
Fe1 Fe 0.000 0.000 0.250
Bi1 Bi 0.000 0.372 0.750
```

For Tb2PrY3, a structure optimized by DFT (GGA-PBE) gives the simulated powder X-ray diffraction pattern in this record (Cu Kα (weighted mean of Kα1 and Kα2)).
Kinematic intensities with the Lorentz-polarization factor, no thermal factor.

Largest 6 diffraction maxima, in order of rising 2θ, 2θ from 10° to 80°:
- (2 -1 1), 30.5°, I 100.0
- (1 1 2), 35.3°, I 50.4
- (3 1 0), 50.8°, I 35.5
- (3 0 3), 60.4°, I 21.0
- (2 3 1), 60.5°, I 20.9
- (4 -2 2), 63.4°, I 12.0

```
data_Tb2PrY3
_cell_length_a 6.227
_cell_length_b 8.024
_cell_length_c 8.795
_cell_angle_alpha 111.37
_cell_angle_beta 90.09
_cell_angle_gamma 104.96
_space_group_name_H-M_alt 'P -1'
_space_group_IT_number 2
loop_
_space_group_symop_operation_xyz
'x,y,z'
'-x,-y,-z'
loop_
_atom_site_label
_atom_site_type_symbol
_atom_site_fract_x
_atom_site_fract_y
_atom_site_fract_z
Tb1 Tb 0.125 0.123 0.374
Tb2 Tb 0.375 0.375 0.123